July 19, 2007
After spending a month behind bars, Vang Pao, the former leader of the CIA’s Secret Army in Laos, is a free man—for now.
A federal judge last Thursday ordered that Vang, 77, be released on bail pending trial on charges that he and 10 other defendants tried to overthrow the Lao People’s Democratic Republic. The government claims Vang and the other coup plotters attempted to purchase machine guns, explosives and Stinger missiles and smuggle them (along with hundreds of mercenaries) into Laos to help Hmong rebels based in the jungle overthrow the Communist regime in Vientiane.
In seeking their clients’ release on bail, attorneys for the defendants argued that the men pose no danger to society. It probably helped their case that Vang attended the hearing in a wheelchair, and two other alleged coup plotters, Chong Yang Thao and Seng Vue, had to be hospitalized that day for stroke complications.
But the defendants’ health wasn’t the only topic of interest in the courtroom. Defense attorneys also had a few things to say about Vang’s former employer in Laos, the CIA. In a 12-page brief filed on July 11 by lawyers for all 11 coup plotters, defense attorneys not only contested the government’s claim that the defendants should remain behind bars, but also argued against the government’s effort to prevent them from questioning an undercover agent for the U.S. Bureau of Alcohol, Tobacco & Firearms known to the alleged plotters as an ex-U.S. Navy SEAL named “Steve.”
A 64-page attachment to that brief, also filed in court July 11, includes lengthy excerpts of tape-recorded conversations between alleged coup plotter Harrison Jack, a former U.S. Army Ranger who fought in Vietnam, and “Steve,” who posed as a gun dealer willing to help Jack obtain weapons and mercenaries for the attempted coup. According to the defense brief, “evidence” from those telephone conversations “indicates the defendants thought their activities were authorized by the CIA.”
The Weekly obtained a copy of both documents. The transcripts of the conversations between Jack and “Steve”—both telephone calls and in-person meetings—include dozens of references to the “CIA” and the “Agency” as being aware of the plot. For example, in an April 3 telephone call, Jack, according to the transcript, told the informant that the alleged plotters had already held at least one meeting with CIA officials. “Apparently that was a fairly positive discussion. . . . They were meeting with a deputy director,” Jack said. “But what they offered was . . . well, their comments were something along the lines, you can’t count on the [United Nations], the process is too slow, you need to take care and protect yourself in the field and we’ll support you in that.”
“You know what they mean by ‘we’ll support you in that’?” asked “Steve,” the ATF agent.
“Combination, they said they would provide intel[ligence], if they could provide a secure area to work from, and they would also provide funding, but they said they would not be able to use dollars; they didn’t want to have a trace on the thing,” Jack replied. He added that the meeting was a “positive indication” the plot would have CIA “endorsement support.”
On April 12, when Jack and “Steve” met in person to discuss obtaining weapons, Jack told the agent that the CIA had recently endorsed the plot. “We can’t become overly involved,” Jack claimed the agency had told the plotters. “We’ll support and facilitate whatever else you got going on, to include funding.” Less than a week later, Jack updated the agent again, saying the alleged plotters had raised money from Rolling Thunder, a group of Harley-Davidson-riding Vietnam veterans, with the promise that the mission to overthrow the Laotian government would also liberate American prisoners of war, whom Jack believed were still languishing in secret prisons.
“Money will not be an issue,” Jack claimed. “The CIA has offered to contribute. . . . I’ve mentioned that before.” Later, on May 4, Jack told the agent that the CIA was “standing by and ready to roll.”
Records of crystals that have nothing to do with the page
/*
Arrangement i

VASP calculation (GGA-PBE) on a relaxed structure of LiNbIrN2.

a b c (Å): 3.8319 3.8319 5.3371
angles (deg): 90.00 90.00 90.00
With the nearest neighbours (Å) after each atom.
Positions (direct):
Li: 0.0000 0.0000 0.0000  4 Nb 2.71
Nb: 0.5000 0.5000 0.0000  2 Ir 2.67, 4 Li 2.71
Ir: 0.5000 0.5000 0.5000  4 N 1.92
N: 0.0000 0.5000 0.5000  2 Ir 1.92
N: 0.5000 0.0000 0.5000  2 Ir 1.92

space group: P4/mmm, No. 123

***

Arrangement ii

VASP calculation (GGA-PBE) on a relaxed structure of LiNbIrN2.

a b c (Å): 4.0750 4.0750 5.1317
angles (deg): 90.00 90.00 90.00
With the nearest neighbours (Å) after each atom.
Positions (direct):
Li: 0.0000 0.0000 0.0000  4 Ir 2.88
Nb: 0.5000 0.5000 0.5000  4 N 2.04
Ir: 0.5000 0.5000 0.0000  2 Nb 2.57
N: 0.0000 0.5000 0.5000  2 Nb 2.04
N: 0.5000 0.0000 0.5000  2 Nb 2.04

space group: P4/mmm, No. 123

***

Q: Which of them is the least stable? A: arrangement i.

***

Arrangement i

VASP calculation (GGA-PBE) on a relaxed structure of LiIrSN2.

a b c (Å): 3.5956 3.5956 4.2694
angles (deg): 90.00 90.00 90.00
With the nearest neighbours (Å) after each atom.
Positions (direct):
Li: 0.0000 0.0000 0.0000  4 N 1.80
Ir: 0.5000 0.5000 0.5000  4 S 2.54, 8 N 2.79
S: 0.0000 0.0000 0.5000  2 Li 2.13
N: 0.0000 0.5000 0.0000  2 Li 1.80
N: 0.5000 0.0000 0.0000  2 Li 1.80

space group: P4/mmm, No. 123

***

Arrangement ii

VASP calculation (GGA-PBE) on a relaxed structure of LiIrSN2.

a b c (Å): 3.7527 3.7527 5.2971
angles (deg): 90.00 90.00 90.00
With the nearest neighbours (Å) after each atom.
Positions (direct):
Li: 0.0000 0.0000 0.0000  4 S 2.65
Ir: 0.5000 0.5000 0.5000  4 N 1.88
S: 0.5000 0.5000 0.0000  2 Ir 2.65, 4 Li 2.65
N: 0.0000 0.5000 0.5000  2 Ir 1.88
N: 0.5000 0.0000 0.5000  2 Ir 1.88

space group: P4/mmm, No. 123

***

Q: Which of them is the least stable? A: arrangement i.

***

Arrangement i

VASP calculation (GGA-PBE) on a relaxed structure of LiIrS2N.

a b c (Å): 4.4182 4.4182 3.3120
angles (deg): 90.00 90.00 90.00
With the nearest neighbours (Å) after each atom.
Positions (direct):
Li: 0.0000 0.0000 0.0000  2 N 1.66
Ir: 0.5000 0.5000 0.5000  8 S 2.76
S: 0.0000 0.5000 0.0000  2 Li 2.21
S: 0.5000 0.0000 0.0000  2 Li 2.21
N: 0.0000 0.0000 0.5000  2 Li 1.66

space group: P4/mmm, No. 123

***

Arrangement ii

VASP calculation (GGA-PBE) on a relaxed structure of LiIrS2N.

a b c (Å): 4.9437 4.9437 3.6508
angles (deg): 90.00 90.00 90.00
With the nearest neighbours (Å) after each atom.
Positions (direct):
Li: 0.0000 0.0000 0.0000  8 S 3.07
Ir: 0.5000 0.5000 0.5000  2 N 1.83
S: 0.0000 0.5000 0.5000  2 Ir 2.47
S: 0.5000 0.0000 0.5000  2 Ir 2.47
N: 0.5000 0.5000 0.0000  2 Ir 1.83

space group: P4/mmm, No. 123

***

Q: Which of them is the least stable? A: arrangement i.


This record from Alexandria via LeMat-Bulk describes Ti7Be2Co2 after structural relaxation. The functional is PBE.

Values from the calculation:
DFT total energy: -6.839 eV/atom
theoretical density: 4560 kg/m³
D(E_F): 27.46 states/eV per cell
*/
Although most of the references to the CIA were statements made by Jack to the ATF informant, the transcripts of those conversations show that as early as March 7, “Steve” told Jack that he believed the U.S. government would support the Laotian coup if the alleged plotters succeeded. “Well, the U.S. has no choice but to support a democratic government,” the agent said. “They will support it. . . . There’s no doubt in my mind. They need a stronghold in that area.”
Materials data that have nothing to do with the page:
********
# NbHgSe3 | Alexandria | PBE-GGA | relaxed
# ΔE to the lowest computed polymorph = 0.300 eV per atom
data_NbHgSe3
_chemical_formula_sum 'Nb1 Hg1 Se3'
_space_group_name_H-M_alt 'P m -3 m'
_space_group_IT_number 221
_space_group_name_Hall '-P 4 2 3'
_cell_length_a 5.089
_cell_length_b 5.089
_cell_length_c 5.089
_cell_angle_alpha 90.00
_cell_angle_beta 90.00
_cell_angle_gamma 90.00
loop_
_atom_site_label
_atom_site_type_symbol
_atom_site_fract_x
_atom_site_fract_y
_atom_site_fract_z
Nb1 Nb 0.000 0.000 0.000
Hg1 Hg 0.500 0.500 0.500
Se1 Se 0.000 0.000 0.500

A relaxed NbHgSe2 crystal. Source: Alexandria, functional PBE-GGA.

```
data_NbHgSe2
_chemical_formula_sum 'Nb3 Hg3 Se6'
_space_group_name_H-M_alt 'R -3 m'
_space_group_IT_number 166
_space_group_name_Hall '-R 3 2"'
_cell_length_a 3.4725
_cell_length_b 3.4725
_cell_length_c 31.0309
_cell_angle_alpha 90.00
_cell_angle_beta 90.00
_cell_angle_gamma 120.00
loop_
_atom_site_label
_atom_site_type_symbol
_atom_site_fract_x
_atom_site_fract_y
_atom_site_fract_z
Nb1 Nb 0.0000 0.0000 0.0000
Hg1 Hg 0.0000 0.0000 0.5000
Se1 Se 0.0000 0.0000 0.3877
```

A relaxed NbHgSe2 crystal. Source: Alexandria, functional PBE-GGA.

```
data_NbHgSe2
_chemical_formula_sum 'Nb4 Hg4 Se8'
_space_group_name_H-M_alt 'I 4/m c m'
_space_group_IT_number 140
_space_group_name_Hall '-I 4 2c'
_cell_length_a 9.496
_cell_length_b 9.496
_cell_length_c 5.844
_cell_angle_alpha 90.00
_cell_angle_beta 90.00
_cell_angle_gamma 90.00
loop_
_atom_site_label
_atom_site_type_symbol
_atom_site_fract_x
_atom_site_fract_y
_atom_site_fract_z
Nb1 Nb 0.000 0.500 0.250
Hg1 Hg 0.000 0.000 0.250
Se1 Se 0.151 0.349 0.000
```

A relaxed NbHgSe2 crystal. Source: Alexandria, functional PBE-GGA.

```
data_NbHgSe2
_chemical_formula_sum 'Nb3 Hg3 Se6'
_space_group_name_H-M_alt 'R 3 m'
_space_group_IT_number 160
_space_group_name_Hall 'R 3 -2"'
_cell_length_a 3.4715
_cell_length_b 3.4715
_cell_length_c 29.1239
_cell_angle_alpha 90.00
_cell_angle_beta 90.00
_cell_angle_gamma 120.00
loop_
_atom_site_label
_atom_site_type_symbol
_atom_site_fract_x
_atom_site_fract_y
_atom_site_fract_z
Nb1 Nb 0.0000 0.0000 0.0000
Hg1 Hg 0.0000 0.0000 0.1692
Se1 Se 0.0000 0.0000 0.3914
Se2 Se 0.0000 0.0000 0.6085
```

Uncorrected formation energy readings, ordered: -0.854, -2.431, -1.506, -2.433 eV/f.u.
********
Through its general counsel, the CIA has already filed a sworn affidavit against Vang, Jack and the other alleged coup plotters swearing the agency had no knowledge of the plot. John Balazs, Vang’s attorney, did not respond to interview requests from the Weekly.
But Mark Reichel, an attorney for alleged coup plotter Lo Cha Thao, says he firmly believes the CIA was aware of the plot. “The government says there’s no CIA connection,” Reichel says. “But the CIA isn’t going to tell the U.S. Attorney’s office in Sacramento that they were involved. . . . They are probably shredding documents left and right, but we’re going to pursue every possible aspect to get to the truth.”